### Entries
'''
Calculated PXRD pattern of LiPu2AlAu6 for CuKα, from a crystal structure in Alexandria, relaxed with PBE.

The 12 most intense peaks (10° ≤ 2θ ≤ 80°), by intensity:
| 2θ/deg | I (rel.) |
| --- | --- |
| 41.04 | 100.0 |
| 31.45 | 94.4 |
| 35.92 | 81.1 |
| 25.68 | 65.2 |
| 36.42 | 64.0 |
| 36.63 | 60.1 |
| 38.15 | 57.8 |
| 32.80 | 49.0 |
| 29.49 | 48.6 |
| 17.77 | 44.6 |
| 36.87 | 43.7 |
| 34.53 | 43.6 |

Structure:
```
data_LiPu2AlAu6
_cell_length_a 5.2783
_cell_length_b 5.8556
_cell_length_c 7.5141
_cell_angle_alpha 100.18
_cell_angle_beta 107.71
_cell_angle_gamma 100.20
_space_group_name_H-M_alt 'P -1'
_space_group_IT_number 2
loop_
_space_group_symop_operation_xyz
'x,y,z'
'-x,-y,-z'
loop_
_atom_site_label
_atom_site_type_symbol
_atom_site_fract_x
_atom_site_fract_y
_atom_site_fract_z
Li1 Li 0.0000 0.0000 0.0000
Pu1 Pu 0.4374 0.7457 0.3187
Al1 Al 0.0000 0.5000 0.5000
Au1 Au 0.0222 0.0824 0.3384
Au2 Au 0.1827 0.4137 0.8972
Au3 Au 0.4879 0.7562 0.7582
```


Starting from a structure optimized by DFT (GGA-PBE), the powder diffraction line list of La3Ce2Pt3 was computed for a wavelength of 1.5418 Å.
No peak broadening, texture or thermal motion is included.

Main lines, in order of rising 2θ (2θ = 15–90°):
- (2 0 0), 2θ = 25.73°, I 46
- (2 3 1), 2θ = 33.31°, I 100
- (2 0 2), 2θ = 33.44°, I 44
- (1 5 1), 2θ = 34.52°, I 57
- (1 4 2), 2θ = 34.65°, I 68
- (1 1 3), 2θ = 34.87°, I 58
- (0 6 0), 2θ = 36.29°, I 26
- (0 3 3), 2θ = 36.67°, I 55
- (3 0 1), 2θ = 40.51°, I 25
- (3 4 2), 2θ = 51.34°, I 24

Crystal structure
```
data_La3Ce2Pt3
_chemical_formula_sum 'La12 Ce8 Pt12'
_cell_length_a 6.924
_cell_length_b 14.853
_cell_length_c 8.462
_cell_angle_alpha 90.00
_cell_angle_beta 90.00
_cell_angle_gamma 90.00
_symmetry_space_group_name_H-M 'P n m a'
_symmetry_Int_Tables_number 62
_symmetry_space_group_name_Hall '-P 2ac 2n'
loop_
_atom_site_label
_atom_site_type_symbol
_atom_site_fract_x
_atom_site_fract_y
_atom_site_fract_z
La1 La 0.006 0.082 0.217
La2 La 0.240 0.250 0.501
Ce1 Ce 0.216 0.627 0.368
Pt1 Pt 0.196 0.050 0.556
Pt2 Pt 0.224 0.750 0.630
```


1.
Theoretical X-ray powder pattern
Compound: K2MgP2Ir
Radiation: copper Kα
Structure: a PBE-relaxed structure
No peak broadening, texture or thermal motion is included.

Atomic structure:
```
data_K2MgP2Ir
_symmetry_space_group_name_H-M 'P -4 m 2'
_symmetry_Int_Tables_number 115
_cell_length_a 4.148
_cell_length_b 4.148
_cell_length_c 9.781
_cell_angle_alpha 90.00
_cell_angle_beta 90.00
_cell_angle_gamma 90.00
loop_
_symmetry_equiv_pos_as_xyz
'x,y,z'
'y,-x,-z'
'-x,-y,z'
'-y,x,-z'
'-x,y,z'
'-y,-x,-z'
'x,-y,z'
'y,x,-z'
loop_
_atom_site_label
_atom_site_fract_x
_atom_site_fract_y
_atom_site_fract_z
_atom_site_occupancy
K1 0.000 0.500 0.197 1
Mg1 0.000 0.000 0.500 1
P1 0.000 0.500 0.634 1
Ir1 0.500 0.500 0.500 1
```

The 10 most intense peaks (2θ = 10–90°), by angle:
index, 2θ (°), I (rel.)
1 0 0, 21.42, 58.1
1 0 1, 23.29, 99.0
0 0 3, 27.35, 33.2
1 0 2, 28.21, 89.7
1 1 1, 31.85, 66.4
1 0 3, 35.01, 42.5
1 1 2, 35.70, 100.0
2 0 0, 43.65, 43.4
2 0 1, 44.67, 34.4
1 1 4, 48.47, 33.2

2.
Theoretical X-ray powder pattern
Compound: ErTm2Si4Ni4
Radiation: copper Kα
Structure: a PBE-relaxed structure
No peak broadening, texture or thermal motion is included.

Atomic structure:
```
data_ErTm2Si4Ni4
_symmetry_space_group_name_H-M 'I m m m'
_symmetry_Int_Tables_number 71
_symmetry_space_group_name_Hall '-I 2 2'
_cell_length_a 3.991
_cell_length_b 6.542
_cell_length_c 13.155
_cell_angle_alpha 90.00
_cell_angle_beta 90.00
_cell_angle_gamma 90.00
loop_
_atom_site_label
_atom_site_fract_x
_atom_site_fract_y
_atom_site_fract_z
_atom_site_occupancy
Er1 0.000 0.000 0.000 1
Tm1 0.000 0.500 0.128 1
Si1 0.000 0.000 0.218 1
Si2 0.000 0.188 0.500 1
Ni1 0.000 0.304 0.323 1
```

The 10 most intense peaks (2θ = 10–90°), by angle:
index, 2θ (°), I (rel.)
1 0 1, 23.29, 27.6
0 1 3, 24.44, 34.6
1 1 2, 29.53, 23.1
1 2 1, 36.16, 98.0
0 1 5, 36.82, 34.9
1 1 4, 38.03, 100.0
0 0 6, 41.14, 21.0
2 0 0, 45.45, 33.6
0 3 3, 46.51, 35.2
'''

### What to do
Next, echo only the last part of the block earlier on, starting with the line that has "34.52°,".

### Result
- (1 5 1), 2θ = 34.52°, I 57
- (1 4 2), 2θ = 34.65°, I 68
- (1 1 3), 2θ = 34.87°, I 58
- (0 6 0), 2θ = 36.29°, I 26
- (0 3 3), 2θ = 36.67°, I 55
- (3 0 1), 2θ = 40.51°, I 25
- (3 4 2), 2θ = 51.34°, I 24

Crystal structure
```
data_La3Ce2Pt3
_chemical_formula_sum 'La12 Ce8 Pt12'
_cell_length_a 6.924
_cell_length_b 14.853
_cell_length_c 8.462
_cell_angle_alpha 90.00
_cell_angle_beta 90.00
_cell_angle_gamma 90.00
_symmetry_space_group_name_H-M 'P n m a'
_symmetry_Int_Tables_number 62
_symmetry_space_group_name_Hall '-P 2ac 2n'
loop_
_atom_site_label
_atom_site_type_symbol
_atom_site_fract_x
_atom_site_fract_y
_atom_site_fract_z
La1 La 0.006 0.082 0.217
La2 La 0.240 0.250 0.501
Ce1 Ce 0.216 0.627 0.368
Pt1 Pt 0.196 0.050 0.556
Pt2 Pt 0.224 0.750 0.630
```


1.
Theoretical X-ray powder pattern
Compound: K2MgP2Ir
Radiation: copper Kα
Structure: a PBE-relaxed structure
No peak broadening, texture or thermal motion is included.

Atomic structure:
```
data_K2MgP2Ir
_symmetry_space_group_name_H-M 'P -4 m 2'
_symmetry_Int_Tables_number 115
_cell_length_a 4.148
_cell_length_b 4.148
_cell_length_c 9.781
_cell_angle_alpha 90.00
_cell_angle_beta 90.00
_cell_angle_gamma 90.00
loop_
_symmetry_equiv_pos_as_xyz
'x,y,z'
'y,-x,-z'
'-x,-y,z'
'-y,x,-z'
'-x,y,z'
'-y,-x,-z'
'x,-y,z'
'y,x,-z'
loop_
_atom_site_label
_atom_site_fract_x
_atom_site_fract_y
_atom_site_fract_z
_atom_site_occupancy
K1 0.000 0.500 0.197 1
Mg1 0.000 0.000 0.500 1
P1 0.000 0.500 0.634 1
Ir1 0.500 0.500 0.500 1
```

The 10 most intense peaks (2θ = 10–90°), by angle:
index, 2θ (°), I (rel.)
1 0 0, 21.42, 58.1
1 0 1, 23.29, 99.0
0 0 3, 27.35, 33.2
1 0 2, 28.21, 89.7
1 1 1, 31.85, 66.4
1 0 3, 35.01, 42.5
1 1 2, 35.70, 100.0
2 0 0, 43.65, 43.4
2 0 1, 44.67, 34.4
1 1 4, 48.47, 33.2

2.
Theoretical X-ray powder pattern
Compound: ErTm2Si4Ni4
Radiation: copper Kα
Structure: a PBE-relaxed structure
No peak broadening, texture or thermal motion is included.

Atomic structure:
```
data_ErTm2Si4Ni4
_symmetry_space_group_name_H-M 'I m m m'
_symmetry_Int_Tables_number 71
_symmetry_space_group_name_Hall '-I 2 2'
_cell_length_a 3.991
_cell_length_b 6.542
_cell_length_c 13.155
_cell_angle_alpha 90.00
_cell_angle_beta 90.00
_cell_angle_gamma 90.00
loop_
_atom_site_label
_atom_site_fract_x
_atom_site_fract_y
_atom_site_fract_z
_atom_site_occupancy
Er1 0.000 0.000 0.000 1
Tm1 0.000 0.500 0.128 1
Si1 0.000 0.000 0.218 1
Si2 0.000 0.188 0.500 1
Ni1 0.000 0.304 0.323 1
```

The 10 most intense peaks (2θ = 10–90°), by angle:
index, 2θ (°), I (rel.)
1 0 1, 23.29, 27.6
0 1 3, 24.44, 34.6
1 1 2, 29.53, 23.1
1 2 1, 36.16, 98.0
0 1 5, 36.82, 34.9
1 1 4, 38.03, 100.0
0 0 6, 41.14, 21.0
2 0 0, 45.45, 33.6
0 3 3, 46.51, 35.2